### Request
Repeat the lines underneath verbatim.

### Entries
- - -
Record 1
Theoretical powder diffraction line list
Compound: ErGaH
Radiation: Cu Kα, 1.54184 Å
Structure: a cell relaxed with PBE
Peak positions follow from Bragg's law for the DFT cell and can differ from measured ones.

Peak list (10 most intense, 2θ from 15° to 90°, in order of rising 2θ)
| 2theta | Rel. int. |
| --- | --- |
| 27.5 | 27.2 |
| 31.3 | 100.0 |
| 32.3 | 38.1 |
| 33.1 | 29.7 |
| 39.4 | 53.4 |
| 41.7 | 25.9 |
| 44.7 | 21.1 |
| 54.2 | 14.7 |
| 56.2 | 15.9 |
| 62.8 | 15.2 |

Structure:
Lattice parameters (Å, degrees): 5.8260 5.8260 4.0530 90.00 90.00 136.33
Fractional positions:
Er 0.1372 0.8628 0.7500
Er 0.8628 0.1372 0.2500
Ga 0.4207 0.5793 0.7500
Ga 0.5793 0.4207 0.2500
H 0.0637 0.9363 0.2500
H 0.9363 0.0637 0.7500

=====

Record 2
Theoretical powder diffraction line list
Compound: ErHfGa6
Radiation: Cu Kα, 1.54184 Å
Structure: a cell relaxed with PBE
Peak positions follow from Bragg's law for the DFT cell and can differ from measured ones.

Peak list (10 most intense, 2θ from 15° to 90°, in order of rising 2θ)
| 2theta | Rel. int. |
| --- | --- |
| 21.3 | 19.0 |
| 30.3 | 16.0 |
| 37.3 | 100.0 |
| 43.3 | 32.9 |
| 43.4 | 16.1 |
| 62.8 | 10.7 |
| 63.0 | 21.0 |
| 75.4 | 24.8 |
| 75.6 | 12.0 |
| 79.5 | 10.6 |

Structure:
Lattice parameters (Å, degrees): 4.1834 4.1834 8.3348 90.00 90.00 90.00
Fractional positions:
Er 0.0000 0.0000 0.0000
Hf 0.0000 0.0000 0.5000
Ga 0.0000 0.5000 0.2571
Ga 0.0000 0.5000 0.7429
Ga 0.5000 0.0000 0.2571
Ga 0.5000 0.0000 0.7429
Ga 0.5000 0.5000 0.0000
Ga 0.5000 0.5000 0.5000

=====

Record 3
Theoretical powder diffraction line list
Compound: Er5GaHg4
Radiation: Cu Kα, 1.54184 Å
Structure: a cell relaxed with PBE
Peak positions follow from Bragg's law for the DFT cell and can differ from measured ones.

Peak list (10 most intense, 2θ from 15° to 90°, in order of rising 2θ)
| 2theta | Rel. int. |
| --- | --- |
| 24.8 | 0.9 |
| 26.2 | 0.9 |
| 28.4 | 1.0 |
| 31.3 | 1.9 |
| 34.6 | 100.0 |
| 49.8 | 17.9 |
| 57.6 | 0.9 |
| 62.1 | 36.7 |
| 73.1 | 11.3 |
| 83.5 | 16.1 |

Structure:
Lattice parameters (Å, degrees): 3.6627 3.6627 18.3127 90.00 90.00 90.00
Fractional positions:
Er 0.0000 0.0000 0.0000
Er 0.0000 0.0000 0.2036
Er 0.0000 0.0000 0.4067
Er 0.0000 0.0000 0.5933
Er 0.0000 0.0000 0.7964
Ga 0.5000 0.5000 0.5000
Hg 0.5000 0.5000 0.1020
Hg 0.5000 0.5000 0.3048
Hg 0.5000 0.5000 0.6952
Hg 0.5000 0.5000 0.8980

=====

Record 4
Theoretical powder diffraction line list
Compound: Er6GaHg2
Radiation: Cu Kα, 1.54184 Å
Structure: a cell relaxed with PBE
Peak positions follow from Bragg's law for the DFT cell and can differ from measured ones.

Peak list (10 most intense, 2θ from 15° to 90°, in order of rising 2θ)
| 2theta | Rel. int. |
| --- | --- |
| 17.3 | 51.4 |
| 24.6 | 17.8 |
| 29.6 | 100.0 |
| 35.0 | 63.0 |
| 36.7 | 52.4 |
| 44.7 | 36.6 |
| 46.5 | 42.7 |
| 50.4 | 18.2 |
| 61.4 | 23.7 |
| 75.1 | 23.3 |

Structure:
Lattice parameters (Å, degrees): 7.2421 7.2421 11.2290 90.00 90.00 90.00
Fractional positions:
Er 0.2176 0.2176 0.1580
Er 0.2176 0.2176 0.8420
Er 0.2242 0.2242 0.5000
Er 0.2758 0.7242 0.0000
Er 0.2824 0.7176 0.3420
Er 0.2824 0.7176 0.6580
Er 0.7176 0.2824 0.3420
Er 0.7176 0.2824 0.6580
Er 0.7242 0.2758 0.0000
Er 0.7758 0.7758 0.5000
Er 0.7824 0.7824 0.1580
Er 0.7824 0.7824 0.8420
Ga 0.0000 0.0000 0.0000
Ga 0.5000 0.5000 0.5000
Hg 0.0000 0.0000 0.3277
Hg 0.0000 0.0000 0.6723
Hg 0.5000 0.5000 0.1723
Hg 0.5000 0.5000 0.8277

=====

Record 5
Theoretical powder diffraction line list
Compound: Er3Ga4Hg
Radiation: Cu Kα, 1.54184 Å
Structure: a cell relaxed with PBE
Peak positions follow from Bragg's law for the DFT cell and can differ from measured ones.

Peak list (10 most intense, 2θ from 15° to 90°, in order of rising 2θ)
| 2theta | Rel. int. |
| --- | --- |
| 21.2 | 15.0 |
| 30.2 | 18.7 |
| 31.0 | 100.0 |
| 35.6 | 54.1 |
| 37.1 | 15.6 |
| 41.7 | 18.1 |
| 43.2 | 14.9 |
| 43.8 | 17.3 |
| 51.7 | 24.2 |
| 64.6 | 19.0 |

Structure:
- - -

### Written answer
Record 1
Theoretical powder diffraction line list
Compound: ErGaH
Radiation: Cu Kα, 1.54184 Å
Structure: a cell relaxed with PBE
Peak positions follow from Bragg's law for the DFT cell and can differ from measured ones.

Peak list (10 most intense, 2θ from 15° to 90°, in order of rising 2θ)
| 2theta | Rel. int. |
| --- | --- |
| 27.5 | 27.2 |
| 31.3 | 100.0 |
| 32.3 | 38.1 |
| 33.1 | 29.7 |
| 39.4 | 53.4 |
| 41.7 | 25.9 |
| 44.7 | 21.1 |
| 54.2 | 14.7 |
| 56.2 | 15.9 |
| 62.8 | 15.2 |

Structure:
Lattice parameters (Å, degrees): 5.8260 5.8260 4.0530 90.00 90.00 136.33
Fractional positions:
Er 0.1372 0.8628 0.7500
Er 0.8628 0.1372 0.2500
Ga 0.4207 0.5793 0.7500
Ga 0.5793 0.4207 0.2500
H 0.0637 0.9363 0.2500
H 0.9363 0.0637 0.7500

=====

Record 2
Theoretical powder diffraction line list
Compound: ErHfGa6
Radiation: Cu Kα, 1.54184 Å
Structure: a cell relaxed with PBE
Peak positions follow from Bragg's law for the DFT cell and can differ from measured ones.

Peak list (10 most intense, 2θ from 15° to 90°, in order of rising 2θ)
| 2theta | Rel. int. |
| --- | --- |
| 21.3 | 19.0 |
| 30.3 | 16.0 |
| 37.3 | 100.0 |
| 43.3 | 32.9 |
| 43.4 | 16.1 |
| 62.8 | 10.7 |
| 63.0 | 21.0 |
| 75.4 | 24.8 |
| 75.6 | 12.0 |
| 79.5 | 10.6 |

Structure:
Lattice parameters (Å, degrees): 4.1834 4.1834 8.3348 90.00 90.00 90.00
Fractional positions:
Er 0.0000 0.0000 0.0000
Hf 0.0000 0.0000 0.5000
Ga 0.0000 0.5000 0.2571
Ga 0.0000 0.5000 0.7429
Ga 0.5000 0.0000 0.2571
Ga 0.5000 0.0000 0.7429
Ga 0.5000 0.5000 0.0000
Ga 0.5000 0.5000 0.5000

=====

Record 3
Theoretical powder diffraction line list
Compound: Er5GaHg4
Radiation: Cu Kα, 1.54184 Å
Structure: a cell relaxed with PBE
Peak positions follow from Bragg's law for the DFT cell and can differ from measured ones.

Peak list (10 most intense, 2θ from 15° to 90°, in order of rising 2θ)
| 2theta | Rel. int. |
| --- | --- |
| 24.8 | 0.9 |
| 26.2 | 0.9 |
| 28.4 | 1.0 |
| 31.3 | 1.9 |
| 34.6 | 100.0 |
| 49.8 | 17.9 |
| 57.6 | 0.9 |
| 62.1 | 36.7 |
| 73.1 | 11.3 |
| 83.5 | 16.1 |

Structure:
Lattice parameters (Å, degrees): 3.6627 3.6627 18.3127 90.00 90.00 90.00
Fractional positions:
Er 0.0000 0.0000 0.0000
Er 0.0000 0.0000 0.2036
Er 0.0000 0.0000 0.4067
Er 0.0000 0.0000 0.5933
Er 0.0000 0.0000 0.7964
Ga 0.5000 0.5000 0.5000
Hg 0.5000 0.5000 0.1020
Hg 0.5000 0.5000 0.3048
Hg 0.5000 0.5000 0.6952
Hg 0.5000 0.5000 0.8980

=====

Record 4
Theoretical powder diffraction line list
Compound: Er6GaHg2
Radiation: Cu Kα, 1.54184 Å
Structure: a cell relaxed with PBE
Peak positions follow from Bragg's law for the DFT cell and can differ from measured ones.

Peak list (10 most intense, 2θ from 15° to 90°, in order of rising 2θ)
| 2theta | Rel. int. |
| --- | --- |
| 17.3 | 51.4 |
| 24.6 | 17.8 |
| 29.6 | 100.0 |
| 35.0 | 63.0 |
| 36.7 | 52.4 |
| 44.7 | 36.6 |
| 46.5 | 42.7 |
| 50.4 | 18.2 |
| 61.4 | 23.7 |
| 75.1 | 23.3 |

Structure:
Lattice parameters (Å, degrees): 7.2421 7.2421 11.2290 90.00 90.00 90.00
Fractional positions:
Er 0.2176 0.2176 0.1580
Er 0.2176 0.2176 0.8420
Er 0.2242 0.2242 0.5000
Er 0.2758 0.7242 0.0000
Er 0.2824 0.7176 0.3420
Er 0.2824 0.7176 0.6580
Er 0.7176 0.2824 0.3420
Er 0.7176 0.2824 0.6580
Er 0.7242 0.2758 0.0000
Er 0.7758 0.7758 0.5000
Er 0.7824 0.7824 0.1580
Er 0.7824 0.7824 0.8420
Ga 0.0000 0.0000 0.0000
Ga 0.5000 0.5000 0.5000
Hg 0.0000 0.0000 0.3277
Hg 0.0000 0.0000 0.6723
Hg 0.5000 0.5000 0.1723
Hg 0.5000 0.5000 0.8277

=====

Record 5
Theoretical powder diffraction line list
Compound: Er3Ga4Hg
Radiation: Cu Kα, 1.54184 Å
Structure: a cell relaxed with PBE
Peak positions follow from Bragg's law for the DFT cell and can differ from measured ones.

Peak list (10 most intense, 2θ from 15° to 90°, in order of rising 2θ)
| 2theta | Rel. int. |
| --- | --- |
| 21.2 | 15.0 |
| 30.2 | 18.7 |
| 31.0 | 100.0 |
| 35.6 | 54.1 |
| 37.1 | 15.6 |
| 41.7 | 18.1 |
| 43.2 | 14.9 |
| 43.8 | 17.3 |
| 51.7 | 24.2 |
| 64.6 | 19.0 |

Structure: